**Entries:**
+++
(1)
Na2ZrTiSi2SO12 (PBE, relaxed); space group = P1 (1); calculated density = 2887 kg/m3; calculated formation energy = -282 kJ/mol of atoms; total energy = -140.7 eV/f.u.; total magnetic moment = 0.000 μB per cell
1.0
9.006 0.000 0.000
4.493 7.824 0.000
0.237 -0.040 22.791
Na Zr Ti Si S O
12 6 6 12 6 72
Cartesian
0.000 0.000 0.000 Na
9.191 0.099 11.489 Na
6.014 5.148 13.487 Na
3.151 0.250 2.033 Na
4.585 2.722 3.810 Na
4.706 2.580 15.333 Na
7.737 2.837 17.225 Na
10.432 7.741 5.862 Na
9.107 5.245 7.686 Na
9.302 5.319 18.988 Na
10.594 2.495 20.994 Na
12.233 5.451 9.636 Na
4.756 7.795 3.371 Zr
4.788 2.548 7.207 Zr
4.972 2.578 11.952 Zr
9.456 5.134 22.311 Zr
9.352 5.168 11.053 Zr
9.383 5.203 4.308 Zr
4.862 7.742 14.871 Ti
0.593 0.011 19.482 Ti
4.824 7.567 8.115 Ti
4.930 2.546 18.573 Ti
4.736 2.364 0.450 Ti
9.412 4.936 15.755 Ti
3.510 5.467 5.773 Si
1.779 2.147 17.140 Si
6.209 5.520 17.140 Si
7.368 7.752 5.746 Si
3.674 0.278 20.871 Si
6.187 4.864 9.550 Si
7.499 2.455 20.856 Si
6.222 0.251 9.486 Si
10.585 7.485 1.909 Si
8.138 2.794 13.435 Si
11.981 5.192 13.418 Si
10.640 2.889 1.846 Si
2.156 2.487 9.578 S
3.723 4.788 20.914 S
8.029 7.422 13.450 S
6.591 5.100 1.939 S
11.302 7.728 17.174 S
8.016 2.218 5.810 S
3.790 6.395 7.127 O
3.999 6.472 13.629 O
1.067 1.346 1.980 O
4.054 6.273 4.476 O
1.275 1.332 9.426 O
1.337 1.174 15.897 O
4.272 6.147 20.777 O
3.004 2.716 8.368 O
3.957 3.950 19.700 O
3.008 2.330 10.774 O
3.912 3.837 13.339 O
4.250 4.154 22.132 O
2.015 0.194 20.727 O
3.276 2.772 1.714 O
5.443 6.339 9.379 O
4.145 3.985 5.844 O
5.545 6.216 15.798 O
6.314 7.684 7.021 O
3.381 2.348 17.310 O
5.827 6.514 18.418 O
2.046 0.131 4.349 O
6.535 7.513 13.522 O
5.786 6.363 2.028 O
5.462 4.243 10.905 O
3.888 1.173 22.257 O
5.600 3.988 17.341 O
3.927 1.189 5.855 O
4.265 1.166 19.629 O
4.103 0.955 13.287 O
5.715 3.940 1.787 O
5.782 3.926 8.290 O
8.260 6.611 12.204 O
7.452 5.326 0.740 O
7.426 4.946 3.150 O
8.284 6.385 5.708 O
8.612 6.771 14.621 O
7.853 5.339 16.989 O
5.342 1.134 1.724 O
6.483 2.754 13.326 O
7.784 5.046 9.681 O
8.815 6.624 20.954 O
6.562 2.672 19.509 O
6.489 2.348 22.164 O
5.549 0.889 8.138 O
5.830 1.183 10.787 O
5.987 1.174 17.248 O
6.519 2.312 5.853 O
9.872 6.882 3.278 O
8.375 3.788 14.754 O
8.529 3.743 20.978 O
10.147 6.534 9.638 O
10.161 6.533 0.662 O
10.404 6.567 17.023 O
8.578 3.575 5.676 O
8.720 3.566 12.125 O
8.259 1.424 4.567 O
7.658 0.125 15.955 O
8.557 1.566 6.999 O
8.456 1.109 20.733 O
12.142 7.564 18.372 O
7.864 0.136 9.365 O
10.864 5.413 5.708 O
10.014 3.626 16.974 O
12.182 7.673 2.010 O
10.885 5.055 14.658 O
8.776 1.314 13.626 O
11.154 5.412 12.017 O
9.958 3.547 0.508 O
10.264 3.801 3.165 O
10.366 3.754 9.673 O
11.214 4.867 20.978 O
10.045 1.520 18.496 O

(2)
Na2Y4SiS5O24 (PBE, relaxed); space group = P1 (1); calculated density = 2711 kg/m3; calculated formation energy = -262 kJ/mol of atoms; total energy = -254.6 eV/f.u.; total magnetic moment = 0.000 μB per cell
1.0
9.196 0.000 0.000
4.594 7.980 0.000
0.018 0.011 24.393
Na Y Si S O
6 12 3 15 72
Cartesian
0.000 0.000 0.000 Na
0.107 0.149 11.842 Na
4.553 2.793 16.170 Na
4.640 2.671 4.228 Na
9.006 5.433 20.489 Na
9.185 5.691 8.034 Na
4.483 2.719 12.460 Y
4.579 2.883 0.395 Y
4.622 2.865 19.938 Y
4.565 2.619 7.641 Y
9.065 5.451 23.916 Y
9.113 5.529 11.591 Y
9.143 5.451 16.644 Y
9.189 5.534 4.552 Y
9.060 0.138 3.678 Y
9.142 0.116 8.483 Y
9.160 0.136 15.757 Y
9.194 0.061 20.820 Y
3.109 0.417 10.129 Si
5.952 5.169 22.322 Si
6.414 0.142 6.075 Si
1.854 2.808 22.317 S
3.208 5.143 10.131 S
2.673 0.143 18.237 S
5.890 5.742 6.044 S
7.772 7.812 1.982 S
6.433 5.437 14.215 S
5.903 0.445 22.320 S
7.264 2.783 10.144 S
10.500 7.809 14.216 S
7.805 3.083 1.999 S
7.799 2.474 18.239 S
11.841 5.448 1.975 S
10.513 3.115 14.214 S
10.496 2.490 6.038 S
12.389 5.763 18.236 S
0.962 1.627 22.160 O
3.789 6.501 10.057 O
3.763 6.419 17.031 O
1.060 1.659 4.829 O
2.685 2.955 21.093 O
3.490 4.351 8.934 O
3.486 4.220 1.867 O
2.796 2.984 14.150 O
3.774 4.509 11.365 O
2.685 2.589 23.514 O
+++

**Assignment:**
Count the lines above that contain the word "group" and give the number alone, please.

**Here it is:**
2